The reader should restate every line further below that contains the word "atom".

~~~
Below is an optimized crystal structure of HfNi5B2O10, with properties calculated at the PBE with a Hubbard U level.

Results
Space group: Pnma
Energy (eV/atom): -6.6502

abc: 9.396 6.161 12.415
angles: 90.00 90.00 90.00
Fractional positions:
Hf  0.240  0.250  0.116
Hf  0.260  0.750  0.616
Hf  0.740  0.250  0.384
Hf  0.760  0.750  0.884
Ni  0.000  0.000  0.000
Ni  0.000  0.500  0.000
Ni  0.001  0.505  0.283
Ni  0.001  0.995  0.283
Ni  0.007  0.250  0.503
Ni  0.238  0.750  0.114
Ni  0.262  0.250  0.614
Ni  0.493  0.750  0.003
Ni  0.499  0.005  0.783
Ni  0.499  0.495  0.783
Ni  0.500  0.000  0.500
Ni  0.500  0.500  0.500
Ni  0.501  0.505  0.217
Ni  0.501  0.995  0.217
Ni  0.507  0.250  0.997
Ni  0.738  0.750  0.386
Ni  0.762  0.250  0.886
Ni  0.993  0.750  0.497
Ni  0.999  0.005  0.717
Ni  0.999  0.495  0.717
B  0.223  0.750  0.865
B  0.228  0.250  0.856
B  0.272  0.750  0.356
B  0.277  0.250  0.365
B  0.723  0.750  0.635
B  0.728  0.250  0.644
B  0.772  0.750  0.144
B  0.777  0.250  0.135
O  0.103  0.003  0.144
O  0.103  0.497  0.144
O  0.112  0.506  0.576
O  0.112  0.994  0.576
O  0.125  0.750  0.357
O  0.130  0.250  0.360
O  0.147  0.750  0.960
O  0.149  0.750  0.766
O  0.152  0.250  0.761
O  0.154  0.250  0.955
O  0.346  0.750  0.455
O  0.348  0.750  0.261
O  0.351  0.250  0.266
O  0.353  0.250  0.460
O  0.370  0.750  0.860
O  0.375  0.250  0.857
O  0.388  0.006  0.076
O  0.388  0.494  0.076
O  0.397  0.503  0.644
O  0.397  0.997  0.644
O  0.603  0.003  0.356
O  0.603  0.497  0.356
O  0.612  0.506  0.924
O  0.612  0.994  0.924
O  0.625  0.750  0.143
O  0.630  0.250  0.140
O  0.647  0.750  0.540
O  0.649  0.750  0.734
O  0.652  0.250  0.739
O  0.654  0.250  0.545
O  0.846  0.750  0.045
O  0.848  0.750  0.239
O  0.851  0.250  0.234
O  0.853  0.250  0.040
O  0.870  0.750  0.640
O  0.875  0.250  0.643
O  0.888  0.006  0.424
O  0.888  0.494  0.424
O  0.897  0.503  0.856
O  0.897  0.997  0.856

----------

NbTlPCl2 after structural relaxation. Source: Alexandria, functional PBE.

The calculation puts the magnetization at 2.61 μB/f.u. The volume comes out at 28.42 Å³/atom. The total energy comes out at -17.18 eV for the cell shown. For the density of states at the Fermi level, the calculation gives 7.5 states/eV per cell.

The structure belongs to space group P4/mmm (No. 123); the cell edges are 5.203, 5.203 and 5.248 Å and the angles 90.00°, 90.00° and 90.00°. The distinct sites, in fractional coordinates, are Nb at (0.000, 0.000, 0.000), Tl at (0.500, 0.500, 0.500), P at (0.500, 0.500, 0.000) and Cl at (0.000, 0.500, 0.500).

----------

Record 1
Crystalline Sc6GeP2S3 at its relaxed geometry. Source: Alexandria via LeMat-Bulk, functional PBE.

Output
DFT total energy	-7.0918	eV per atom
energy relative to the elements, uncorrected	-19.3	eV per formula unit
total magnetization	0.0	μB/f.u.

a b c (Å): 8.406 8.406 7.531
angles (deg): 103.22 103.22 25.75
Atoms (fractional coordinates):
Sc  0.001  0.001  0.253
Sc  0.330  0.330  0.422
Sc  0.333  0.333  0.911
Sc  0.667  0.667  0.089
Sc  0.670  0.670  0.578
Sc  0.999  0.999  0.747
Ge  0.500  0.500  0.000
P  0.167  0.167  0.334
P  0.833  0.833  0.666
S  0.167  0.167  0.832
S  0.500  0.500  0.500
S  0.833  0.833  0.168

Record 2
Crystalline Sc6Ge2PS3 at its relaxed geometry. Source: Alexandria via LeMat-Bulk, functional PBE.

Output
DFT total energy	-6.8947	eV per atom
energy relative to the elements, uncorrected	-17.7	eV per formula unit
total magnetization	0.0	μB/f.u.

a b c (Å): 8.468 8.468 7.592
angles (deg): 103.40 103.40 25.71
Atoms (fractional coordinates):
Sc  0.001  0.001  0.244
Sc  0.335  0.335  0.415
Sc  0.336  0.336  0.918
Sc  0.664  0.664  0.082
Sc  0.665  0.665  0.585
Sc  0.999  0.999  0.756
Ge  0.167  0.167  0.334
Ge  0.833  0.833  0.666
P  0.500  0.500  0.000
S  0.166  0.166  0.835
S  0.500  0.500  0.500
S  0.834  0.834  0.165

Record 3
Crystalline GeP2SeS at its relaxed geometry. Source: Alexandria via LeMat-Bulk, functional PBE.

Output
~~~

Energy (eV/atom): -6.6502
The calculation puts the magnetization at 2.61 μB/f.u. The volume comes out at 28.42 Å³/atom. The total energy comes out at -17.18 eV for the cell shown. For the density of states at the Fermi level, the calculation gives 7.5 states/eV per cell.
DFT total energy	-7.0918	eV per atom
DFT total energy	-6.8947	eV per atom